Rejoing the Paris Climate Accord

........
ORCA calculation (ωB97M-V/def2-TZVPD) on 2 unconnected molecules or ions with the total composition C5H10O2 in a non-equilibrium geometry.

- Energy relative to the best compared isomer or geometry (same formula, charge and spin): 1.031 eV
- Gap between HOMO and LUMO (alpha / beta): 9.4 / 8.0 eV
- Net charge: +1
- Spin multiplicity: 2
- E_LUMO (alpha / beta): -5.0 / -7.6 eV

Cartesian coordinates (Å):
C  -0.19  2.30  -0.62
C  -0.65  1.13  0.15
C  -0.77  -0.15  -0.41
O  -0.31  -0.36  -1.64
C  -0.64  -1.30  0.45
C  -1.45  -1.60  1.51
H  -0.96  3.03  -0.88
H  0.36  1.96  -1.49
H  0.45  2.84  0.09
H  -0.98  1.21  1.18
H  0.64  -0.57  -1.74
H  -0.02  -2.10  0.05
H  -1.89  -0.85  2.15
H  -1.47  -2.65  1.78
H  3.26  -0.64  -0.50
H  2.16  -1.12  0.42
O  2.45  -1.12  -0.50

natural (NBO) atomic charge list, values in e, 8 entries: C -0.71; C 0.09; C 0.38; O -0.68; C -0.24; C -0.15; H 0.30; H 0.26

ORCA calculation (ωB97M-V/def2-TZVPD) on 2 unconnected molecules or ions with the total composition C5H10O2 in a non-equilibrium geometry.

- Energy relative to the best compared isomer or geometry (same formula, charge and spin): 1.322 eV
- Gap between HOMO and LUMO (alpha / beta): 7.9 / 4.0 eV
- Net charge: +1
- Spin multiplicity: 2
- E_LUMO (alpha / beta): -4.4 / -8.3 eV

Cartesian coordinates (Å):
C  -1.24  -1.77  1.16
C  -0.17  -2.54  1.38
O  0.42  -2.68  2.59
H  -1.50  -1.58  0.13
H  -1.84  -1.35  1.96
H  0.22  -3.18  0.59
H  0.61  -3.61  2.76
C  -1.19  1.66  -1.24
C  0.17  1.96  -1.17
O  0.54  3.15  -1.58
C  1.25  1.06  -0.67
H  -1.49  0.75  -0.75
H  -1.87  2.40  -1.63
H  1.46  3.13  -1.92
H  0.84  0.14  -0.24
H  1.96  0.86  -1.48
H  1.78  1.60  0.11

natural (NBO) atomic charge list, values in e, 8 entries: C -0.53; C 0.15; O -0.68; H 0.18; H 0.22; H 0.17; H 0.49; C -0.11

ORCA calculation (ωB97M-V/def2-TZVPD) on C5H10O2P2 in the gas phase in a non-equilibrium geometry.

- Energy relative to the best compared isomer or geometry (same formula, charge and spin): 0.000 eV
- Gap between HOMO and LUMO: 8.4 eV
- Net charge: 0
- E_LUMO: -0.6 eV

Cartesian coordinates (Å):
C  -0.94  0.04  -0.07
C  1.38  0.49  -1.34
C  -0.23  0.64  2.25
C  1.36  0.52  0.27
C  -0.08  0.95  0.80
O  -0.76  -1.29  0.33
O  -1.59  0.43  -1.01
P  -2.20  -1.76  -2.19
P  -1.20  -2.59  -0.60
H  2.29  0.24  -1.77
H  1.06  1.51  -1.69
H  0.62  -0.14  -1.87
H  -0.98  -0.10  2.39
H  -0.52  1.51  2.71
H  0.68  0.23  2.89
H  1.55  -0.59  0.57
H  2.19  1.04  0.69
H  -0.36  1.92  0.51
H  -2.28  -3.07  -2.87

natural (NBO) atomic charge list, values in e, 8 entries: C 0.85; C -0.63; C -0.60; C -0.37; C -0.33; O -0.82; O -0.57; P -0.03

ORCA calculation (ωB97M-V/def2-TZVPD) on 2 unconnected molecules or ions with the total composition C5H10O2PS in a non-equilibrium geometry.

- Energy relative to the best compared isomer or geometry (same formula, charge and spin): 0.000 eV
- Gap between HOMO and LUMO: 8.3 eV
- Net charge: -1
- E_LUMO: 3.6 eV

Cartesian coordinates (Å):
C  0.72  -2.94  1.21
........

Eden Cottone, Writer

The Paris Climate Agreement is an international effort and agreement to reduce greenhouse gases and slow down the damaging effects of climate change. The United States, second only to China, is responsible for producing the most greenhouse gases yearly. 2020 was the hottest year on record, and if the United States and the world does not take action soon, conditions will continue to worsen. This year made it clear of the effects climate change will have on us. Texas froze over, a tornado tore through Delaware, five major hurricanes drowned Lousianna, and southern Florida flooded over. These are just three examples of the disatorious impact that climate change has had on the nation and will continue to have for the foreseeable future.. Therefore, the rejoining of the Paris Agreement is crucial for our future. 

On June 1st, 2017, former President Donald Trump pulled the United States out of the Paris Agreement without a care on how it would affect the world and its environment. Then President Joe Biden took office. On his first day, January 20th 2021, he rejoined the Paris Agreement. Why is this important? A quote from secretary of state, Antony Bliken sums the issue up well. “Its purpose is both simple and expansive: to help us all avoid catastrophic planetary warming and to build resilience around the world to the impacts from climate change we already see.” Climate change is real and it is happening. By rejoining this deal, the US is not only doing their part to aid the environment, but they are showing that they care for the future of the world. Lucie Perloff ‘22 expressed her hope for the future. “Rejoining is definitely beneficial especially after the previous administration. It feels hopeful.” Many share the same view as Lucie. Hopeful. 

The United States is sending a message that this is an international problem and that it is going to take cooperation from the world. It is the duty of the United States to lead by example. At some point, Wall Street will be irrelevant to the burning world that will soon surround us. It is time to set our priorities straight and that is exactly what President Joe Biden did by rejoining the Paris Agreement. Conner Manning ‘22 commented that rejoining the Paris Agreement is a step in the right direction. He says, “It is definitely a good thing. One of the most influential and important countries joining sends the message that this is an important cause that needs the world’s attention.” Biden is taking other steps towards a clean environment as well. He plans to achieve a 100% clean energy economy by the year of 2050. Last July, Biden also announced his 2 trillion dollar plan hoping to slow the scary and worsening effects of climate change. Under this new administration, it is clear that science is valued and the environment will be protected. Though, it may seem that the weight of climate change rests on the shoulders of the United State’s government. Javier Ergueta disagrees. He calls for the engagement of all people. “Biden’s ambitious climate program “goes out on a limb” politically.  If we really care, this would be the moment to find ways to show our support.” Rejoining the Paris Agreement was a necessary step in having a green future. Hope is in our future and now, as American citizens, we can rest assured that our President is working towards a cleaner and greener future. However, the fight is not over. We owe it to our Earth to take necessary steps to help climate change. Our future is in our hands.